Pioneering projects for the school of the future

Next submission deadline: 01.05.2025

Societal development and the digital transformation are influencing the skills that children and adolescents need to be able to deal with the social challenges of the future. To help new learning and teaching projects with scaling potential achieve a breakthrough, Gebert Rüf Stiftung supports schools at all levels that provide relevant impetus for the «school of the future» through exemplary bottom-up initiatives. The funding programme is aimed at teachers and school managers with implementation-oriented projects.

Objective: pioneering projects for the school of the future

School is a place where students are prepared for the world of tomorrow. Contemporary classroom teaching strives to cultivate responsible citizens equipped with critical judgement who are capable of helping to shape the future in step with the times. Skills such as creativity, independent and critical thinking, the ability to collaborate and engage in dialogue, as well as curiosity, entrepreneurial skills and a productive error culture are becoming increasingly important for addressing future challenges. By teaching future skills, pioneer projects are strengthening a new, co-operative culture of problem solving.

Today's world is full of digital tools that influence our daily lives. On the one hand, schools must be able to cope with new technological developments and promote an understanding of them; on the other, they need to use digitalisation to leverage the potential for exchanges and individualisation for students. Open teaching formats not only encourage research-based and more project-oriented learning, but also the students' self-competence and methodological skills. Teaching digital education in a way that is relevant and appropriate for the target audience is challenging. «Pedagogy» therefore necessarily comes before «technology», because it is always teachers who make the technologies comprehensible for pupils – in a pedagogically reflective and didactically skilful way.

At secondary and vocational schools, Gebert Rüf Stiftung places a specific focus on strengthening entrepreneurial skills and digital technology competences, which are not yet widely implemented in today's education.

Support criteria for «Education Pioneers» projects

  • Bottom-up initiatives by teachers, school managers, schools of all levels (primary, secondary, middle and vocational schools) or cooperation projects with partners from outside the school.
  • Submission and project management by teachers/school managers.
  • Teaching projects focussing on the (digital) teaching of «future skills» and entrepreneurial skills, student activation and open education.
  • Formats that are scalable to other schools, in the municipality, the canton or throughout Switzerland.
  • Budget range of CHF 10,000 to CHF 100,000 for project implementation, pure infrastructure costs are not covered.
  • A letter of support must be provided from the relevant school authority and other teachers or school managers regarding the implementation and scaling of the project idea.
  • No funding for isolated tool/software development.

Project submission

Projects may be submitted to Gebert Rüf Stiftung by one of the quarterly deadlines (1 February, 1 May, 1 September, 1 December) in accordance with the general requirements. The submission procedure has two stages.

Use our web portal to submit your project and upload all the required documents as described in the following guidelines. 

Project evaluation

Projects for the «Education Pioneers» area of activity may be submitted at any time. For ongoing calls for projects the selection process lasts approximately six months, from submission of the project proposal (1st stage) to the final decision after the project presentation to the board of trustees (2nd stage); for projects with a budget up to CHF 50,000, it usually takes three months. The board of trustees reaches the grant-making decision at its quarterly plenary meeting on the basis of the support criteria and the strategic objectives of the area of activity.

The first projects (2019) served to sharpen the field of activity and are not exemplary for the current funding focus.

No reconsideration applications can be accepted; no correspondence will be entered into regarding grant-making decisions.

Approved projects can find more information on the support agreement, reporting and project communications here.

Inspired Teaching - from exchange to implementation
Cooperation program with Movetia

Teachers who, following their mobility or cooperation project with Movetia, wish to implement the school and teaching experience gained at their primary, secondary, middle or vocational school can apply for implementation funding.

The project must aim to develop the «School of the Future» and, in particular, promote future competences such as creativity, critical thinking and collaboration skills of pupils and learners in the digital age.

With the cooperation program «Inspired Teaching», Movetia and Gebert Rüf Stiftung support the concrete implementation of pedagogical teaching projects in schools.

Funding amount up to CHF 10,000: Application via Movetia
Funding amount over CHF 10,000: Application via Gebert Rüf Stiftung and the Education Pioneers program. See above for criteria and deadlines.

Please do not hesitate to contact us if you have any questions: idee@grstiftung.notexisting@nodomain.comch

Good Practice - Learning from other schools

proEdu's «Schulvisite» enables the exchange of exemplary teaching projects and the networking of schools across regions. Following the «Open Education» principles, project leaders are invited to make themselves available as hosts with their model project.
School visit
Becoming a host school

Attached: materials data:
~~~
A geometry-optimized NbAl3Zn structure. Source: Alexandria, functional PBE-GGA.

Lattice parameters (Å, degrees): 4.3595 5.9275 6.9244 90.00 108.24 90.00
With the nearest neighbours (Å) after each atom.
Space group P2_1/m (No. 11)
Symmetry-distinct sites (fractional):
Nb 0.0000 0.0000 0.0000  6 Al 2.75-2.81, 2 Zn 2.87, 2 Nb 2.96
Al 0.1805 0.2500 0.3632  6 Al 2.75-2.89, 4 Zn 2.77-2.96, 2 Nb 2.81
Al 0.3731 0.0073 0.7446  3 Zn 2.72-2.88, 2 Nb 2.75, 5 Al 2.75-3.05
Zn 0.1861 0.7500 0.3736  10 Al 2.72-2.96, 2 Nb 2.87

Values from the calculation:
Calculated formation energy in eV per atom: 0.026
Volume in Å³/atom: 17.0
~~~

Picture Credits Header

Between two parts of the text: materials data:
********
CaH16C4N8Cl2O4 | PBE-GGA | relaxed

Calculated values
E_tot (eV per atom): -5.9440

Cell and atoms, written as CIF:
```
data_CaH16C4N8Cl2O4
_symmetry_space_group_name_H-M 'P 1'
_symmetry_Int_Tables_number 1
_cell_length_a 7.800
_cell_length_b 8.297
_cell_length_c 12.855
_cell_angle_alpha 90.00
_cell_angle_beta 90.00
_cell_angle_gamma 113.97
loop_
_symmetry_equiv_pos_as_xyz
'x,y,z'
loop_
_atom_site_label
_atom_site_type_symbol
_atom_site_fract_x
_atom_site_fract_y
_atom_site_fract_z
Ca1 Ca 0.000 0.000 0.500
Ca2 Ca 0.500 0.000 0.000
H1 H 0.437 0.736 0.505
H2 H 0.063 0.264 0.005
H3 H 0.563 0.264 0.495
H4 H 0.937 0.736 0.995
H5 H 0.432 0.934 0.746
H6 H 0.068 0.066 0.246
H7 H 0.568 0.066 0.254
H8 H 0.932 0.934 0.754
H9 H 0.536 0.822 0.671
H10 H 0.964 0.178 0.171
H11 H 0.464 0.178 0.329
H12 H 0.036 0.822 0.829
H13 H 0.181 0.432 0.576
H14 H 0.319 0.568 0.076
H15 H 0.819 0.568 0.424
H16 H 0.681 0.432 0.924
H17 H 0.200 0.553 0.690
H18 H 0.300 0.447 0.190
H19 H 0.800 0.447 0.310
H20 H 0.700 0.553 0.810
H21 H 0.872 0.186 0.829
H22 H 0.628 0.814 0.329
H23 H 0.128 0.814 0.171
H24 H 0.372 0.186 0.671
H25 H 0.025 0.412 0.837
H26 H 0.475 0.588 0.337
H27 H 0.975 0.588 0.163
H28 H 0.525 0.412 0.663
H29 H 0.271 0.803 0.446
H30 H 0.229 0.197 0.946
H31 H 0.729 0.197 0.554
H32 H 0.771 0.803 0.054
C1 C 0.329 0.874 0.598
C2 C 0.171 0.126 0.098
C3 C 0.671 0.126 0.402
C4 C 0.829 0.874 0.902
C5 C 0.014 0.291 0.695
C6 C 0.486 0.709 0.195
C7 C 0.986 0.709 0.305
C8 C 0.514 0.291 0.805
N1 N 0.340 0.790 0.511
N2 N 0.160 0.210 0.011
N3 N 0.660 0.210 0.489
N4 N 0.840 0.790 0.989
N5 N 0.430 0.863 0.681
N6 N 0.070 0.137 0.181
N7 N 0.570 0.137 0.319
N8 N 0.930 0.863 0.819
N9 N 0.133 0.441 0.649
N10 N 0.367 0.559 0.149
N11 N 0.867 0.559 0.351
N12 N 0.633 0.441 0.851
N13 N 0.971 0.297 0.796
N14 N 0.529 0.703 0.296
N15 N 0.029 0.703 0.204
N16 N 0.471 0.297 0.704
Cl1 Cl 0.710 0.689 0.570
Cl2 Cl 0.790 0.311 0.070
Cl3 Cl 0.290 0.311 0.430
Cl4 Cl 0.210 0.689 0.930
O1 O 0.223 0.956 0.605
O2 O 0.277 0.044 0.105
O3 O 0.777 0.044 0.395
O4 O 0.723 0.956 0.895
O5 O 0.942 0.147 0.643
O6 O 0.558 0.853 0.143
O7 O 0.058 0.853 0.357
O8 O 0.442 0.147 0.857
```

~~~~~

(1)
Entry from Alexandria: a relaxed structure of Tb3GeI3 (PBE).

Summary:
calculated density	6.67	g/cm3
E_form (uncorrected)	-1140.4	meV per atom
SG	P2_1/m (11)
DOS(E_F)	4.02	states/eV/cell

abc: 8.8862 4.2597 12.2404
angles: 90.00 90.34 90.00
Positions (direct):
1 Tb 0.0973 0.2500 0.3850
2 Tb 0.1188 0.2500 0.8419
3 Tb 0.3226 0.7500 0.6221
4 Tb 0.6774 0.2500 0.3779
5 Tb 0.8812 0.7500 0.1581
6 Tb 0.9027 0.7500 0.6150
7 Ge 0.1180 0.2500 0.6177
8 Ge 0.8820 0.7500 0.3823
9 I 0.1350 0.2500 0.1191
10 I 0.3706 0.7500 0.8757
11 I 0.3840 0.7500 0.3674
12 I 0.6160 0.2500 0.6326
13 I 0.6294 0.2500 0.1243
14 I 0.8650 0.7500 0.8809

(2)
Entry from Alexandria: a relaxed structure of Tb3PaRh4 (PBE).

Summary:
ΔH_f (0 K)	-0.798	eV per atom
calculated density	11.18	g/cm3
SG	P4/mmm (123)
DOS(E_F)	5.97	states/eV/cell

abc: 3.4449 3.4449 14.0162
********

The images were provided by the following Education Pioneers projects:
Herby – The correction app for students and teachers
LernFilm Festival – Producing learning films in the classroom